Eastern Property Holdings Limited (EPH) announces Third Quarter 2019 Financial Update

29 November 2019, Road Town, Tortola, BVI


  • In August 2019 the Company signed the agreement to acquire 100% of ownership interest  in the currently under construction office and retail complexes QBC 1 & 2 as well as the parking garage QBC 7 located in Quartier Belvedere,  Vienna, Austria. The closing of the transaction will occur after finalization of construction and is expected for Q1 2021 also subject to various other customary closing conditions. On 19 August 2019, the Company has paid EUR 20.00 million (US$ 22.5 million) as a down payment.
  • The Company’s rental properties are performing well and generate sufficient cash to cover the Company’s operating expenses, service the debt and partially finance its new acquisitions.
  • RUB and EUR,  major currencies of the Group’s operations, continue to be volatile and affect the Company’s operating results and net asset value. RUB  and EUR weakened against USD by approximately 3% and 4% since last reported date of 30 June 2019. In average, for 9 months 2019 RUB depreciated by 6% against USD and EUR – by 6.4% against USD in comparison to 9 months 2018.


The above key events led to the following main changes in the Company’s financial results for Q3 2019:

  • During the 9 months of 2019 EPH rental properties generated $56 million of net rental income (9 months 2018: $51.6 million). The contribution to net rental income of each property is presented in the table below. The decrease of income in Polar Lights, Magistral’naya and City Gate is caused primarily by compression of USD translation of Ruble- and Euro-denominated rental revenues due to average Ruble and Euro depreciation in comparison to 9 months 2018. It was fully compensated by the increase of income in other properties as well as the additional income generated by new Austrian property QBC 4 acquired in February 2019;
  • For 9 months of 2019 FX loss recognised in the Company’s income statement was partially overlapped by positive change in currency translation adjustment recognized directly in equity; so the overall negative impact of exchange rate fluctuations in the reporting period  is $8.4 million;
  • Slight compression in USD equivalent of fair values of European properties and debt denominated in EUR as compared to the published HY 2019’ results is caused by RUB and EUR depreciation against USD as mentioned above.

Significant Q3 2019 Income and Expense Items

What comes next are crystal structures, not part of the entry:
Theoretical X-ray powder pattern
Compound: CaCr2AsO6
Radiation: Cu Kα
Structure: a cell relaxed with PBE+U
Intensities are scaled so that the largest is 100.

Cell and atoms:
Cell: 5.184 5.213 5.635 Å, 64.72 89.53 60.49°
Sites, in units of the cell vectors:
Ca1 0.000 0.000 0.000
Cr1 0.214 0.576 0.615
Cr2 0.717 0.547 0.161
As1 0.530 0.942 0.569
O1 0.187 0.024 0.376
O2 0.336 0.101 0.801
O3 0.453 0.385 0.375
O4 0.567 0.524 0.821
O5 0.799 0.763 0.373
O6 0.905 0.742 0.819

The 6 most intense peaks (10° ≤ 2θ ≤ 80°), by angle:
d [Å]  intensity  hkl
2.914  100  1 0 1
2.878  96  1 1 -1
2.784  79  0 1 2
2.614  95  -1 1 1
2.604  77  1 2 1
2.592  77  2 1 0

----------

Theoretical powder diffractogram of Li9Mn14O32 for Cu Kα (λ = 1.5418 Å), from the PBE+U geometry in Alexandria.
Lines closer than 0.1° are merged.

Most intense lines, 2θ = 10–90°, low angle first:
index  2θ (°)  I_rel
0 0 4  18.55  100
2 2 -2  35.93  33
2 0 6  36.04  10
2 2 -6  43.66  37
4 0 4  43.81  18
4 2 -8  57.75  9
6 0 2  57.85  6
0 4 0  63.44  16
2 2 10  63.69  11
0 4 4  66.71  7

Atomic structure:
Cell: 10.1565 5.8664 19.3946 Å, 90.00 100.29 90.00°
Space group Cm (No. 8)
Inequivalent atoms, fractional coordinates:
1 Li 0.0000 0.0000 0.0000 [2 per cell]
2 Li 0.0058 0.5000 0.5105 [2 per cell]
3 Li 0.0650 0.5000 0.6951 [2 per cell]
4 Li 0.1602 0.0000 0.4741 [2 per cell]
5 Li 0.2512 0.5000 0.2544 [2 per cell]
6 Li 0.2614 0.0000 0.7574 [2 per cell]
7 Li 0.2840 0.5000 0.8480 [2 per cell]
8 Li 0.3077 0.0000 0.9403 [2 per cell]
9 Li 0.3147 0.5000 0.4377 [2 per cell]
10 Mn 0.0329 0.5000 0.0983 [2 per cell]
11 Mn 0.0351 0.2497 0.8476 [4 per cell]
12 Mn 0.0357 0.2456 0.3482 [4 per cell]
13 Mn 0.0370 0.0000 0.5984 [2 per cell]
14 Mn 0.1564 0.5000 0.9702 [2 per cell]
15 Mn 0.2814 0.0000 0.3479 [2 per cell]
16 Mn 0.2826 0.2490 0.0979 [4 per cell]
17 Mn 0.2845 0.2473 0.5988 [4 per cell]
18 Mn 0.4088 0.0000 0.2214 [2 per cell]
19 Mn 0.4099 0.5000 0.7266 [2 per cell]
20 O 0.0777 0.5000 0.2883 [2 per cell]
21 O 0.0848 0.0000 0.7893 [2 per cell]
22 O 0.0915 0.5000 0.7962 [2 per cell]
23 O 0.0996 0.0000 0.2954 [2 per cell]
24 O 0.1023 0.2781 0.0398 [4 per cell]
25 O 0.1081 0.2304 0.5466 [4 per cell]
26 O 0.2019 0.2715 0.9125 [4 per cell]
27 O 0.2110 0.5000 0.1525 [2 per cell]
28 O 0.2123 0.2305 0.3998 [4 per cell]
29 O 0.2198 0.0000 0.6521 [2 per cell]
30 O 0.2412 0.0000 0.1569 [2 per cell]
31 O 0.2415 0.5000 0.6588 [2 per cell]
32 O 0.3260 0.5000 0.0384 [2 per cell]
33 O 0.3379 0.0000 0.5470 [2 per cell]
34 O 0.3505 0.5000 0.5460 [2 per cell]
35 O 0.3557 0.0000 0.0428 [2 per cell]
36 O 0.3571 0.2207 0.2876 [4 per cell]
37 O 0.3668 0.2705 0.7824 [4 per cell]
38 O 0.4608 0.2182 0.1573 [4 per cell]
39 O 0.4631 0.2808 0.6574 [4 per cell]
40 O 0.4686 0.0000 0.4002 [2 per cell]
41 O 0.4773 0.5000 0.8988 [2 per cell]
42 O 0.4813 0.5000 0.3998 [2 per cell]
43 O 0.4846 0.0000 0.9061 [2 per cell]

Net Rental Income, US$ 30.09.2019 30.09.2018 Change YoY
Berlin House 10,222,046 9,225,375 996,671
Geneva House 10,946,992 10,304,785 642,207
Polar Lights 6,422,368 7,895,696 (1,473,328)
Hermitage Plaza 20,633,362 19,271,929 1,361,433
Arbat 120,562 0 120,562
Magistral'naya 484,200 509,517 (25,317)
City Gate 3,248,954 3,556,392 (307,438)
WLC 1,700,164 865,578 834,586
QBC 4 2,272,936 0 2,272,936
Total 56,051,584 51,629,272 4,422,312
YoY changes in Income/Expense Items, US$ 30.09.2019 30.09.2018 Change YoY
Net foreign exchange gain/ (loss) (19,913,817) 39,857,913 (59,771,730)
Finance costs (24,452,073) (23,668,774) (783,299)

Significant Q3 2019 changes in Financial Position

Assets,  US$ 30.09.2019 30.06.2019 31.12.2018 Change to HY Change to LY
Investment property* 978,076,726 991,816,005 841,451,779 (13,739,279) 136,624,947
Russia 635,266,447 634,748,670 606,316,348 517,777 28,950,099
Western Europe 342,810,279 357,067,335 235,135,431 (14,257,056) 107,674,848
Prepayment for aqcuisition of subsidiaries 22,504,000 0 0 22,504,000 22,504,000
Cash & cash equivalents 33,265,345 44,398,917 41,693,596 (11,133,572) (8,428,251)
Liabilities, US$ 30.09.2019 30.06.2019 31.12.2018 Change to HY Change  to LY
Borrowings 658,346,090 661,800,919 553,507,629 (3,454,829) 104,838,461
USD-denominated 488,614,559 484,704,242 483,753,745 3,910,317 4,860,814
EUR-denominated 169,731,531 177,096,677 69,753,884 (7,365,146) 99,977,647

* - Based on external appraisals as of 30.06.2019

Eastern Property Holdings Ltd. is an investment company listed on SIX Swiss Exchange which holds interest in office, residential and retail properties. EPH is managed by Valartis International Ltd. a wholly-owned subsidiary of Valartis Group AG.

Additional information on Eastern Property Holdings is available by contacting Anna Bernhart Tel: +41 44 503 5400.


Pièces jointes

EPH Financial Trading Update Q3 2019